[Wanted]
It remains to filter the contents further below: keep the lines with the word "and".

[Input]
'''
Compound: SiSnIO2
Source: the Alexandria database
Functional: PBE
Structure: relaxed

It has space group P4/mmm (No. 123), with a = 4.0694 Å, b = 4.0694 Å, c = 5.3095 Å, α = 90.00°, β = 90.00° and γ = 90.00°. The distinct sites, in fractional coordinates, are Si at (0.0000, 0.0000, 0.0000), Sn at (0.5000, 0.5000, 0.5000), I at (0.0000, 0.0000, 0.5000) and O at (0.0000, 0.5000, 0.0000).

The value obtained for the formation energy from raw total energies is -253.5 meV/atom.


Compound: SiSnI2O
Source: the Alexandria database
Functional: PBE
Structure: relaxed

It has space group P4/mmm (No. 123), with a = 6.0883 Å, b = 6.0883 Å, c = 4.0129 Å, α = 90.00°, β = 90.00° and γ = 90.00°. The distinct sites, in fractional coordinates, are Si at (0.0000, 0.0000, 0.0000), Sn at (0.5000, 0.5000, 0.5000), I at (0.0000, 0.5000, 0.5000) and O at (0.5000, 0.5000, 0.0000).

The value obtained for the formation energy from raw total energies is 138.4 meV/atom.


Compound: SiSnIO2
Source: the Alexandria database
Functional: PBE
Structure: relaxed

It has space group P4/mmm (No. 123), with a = 4.0375 Å, b = 4.0375 Å, c = 7.0517 Å, α = 90.00°, β = 90.00° and γ = 90.00°. The distinct sites, in fractional coordinates, are Si at (0.0000, 0.0000, 0.0000), Sn at (0.5000, 0.5000, 0.5000), I at (0.5000, 0.5000, 0.0000) and O at (0.0000, 0.5000, 0.5000).

The value obtained for the formation energy from raw total energies is -93.5 meV/atom.


Compound: SiSnI2O
Source: the Alexandria database
Functional: PBE
Structure: relaxed

It has space group P4/mmm (No. 123), with a = 5.9390 Å, b = 5.9390 Å, c = 3.5790 Å, α = 90.00°, β = 90.00° and γ = 90.00°. The distinct sites, in fractional coordinates, are Si at (0.0000, 0.0000, 0.0000), Sn at (0.5000, 0.5000, 0.5000), I at (0.0000, 0.5000, 0.0000) and O at (0.0000, 0.0000, 0.5000).

The value obtained for the formation energy from raw total energies is -372.1 meV/atom.


Compound: SrSiI2O
Source: the Alexandria database
Functional: PBE
Structure: relaxed

It has space group P4/mmm (No. 123), with a = 6.3645 Å, b = 6.3645 Å, c = 4.2800 Å, α = 90.00°, β = 90.00° and γ = 90.00°. The distinct sites, in fractional coordinates, are Sr at (0.0000, 0.0000, 0.0000), Si at (0.5000, 0.5000, 0.5000), I at (0.0000, 0.5000, 0.0000) and O at (0.0000, 0.0000, 0.5000).

The value obtained for the formation energy from raw total energies is -189.9 meV/atom.


Compound: SrSiI2O
Source: the Alexandria database
Functional: PBE
Structure: relaxed

It has space group P4/mmm (No. 123), with a = 6.0533 Å, b = 6.0533 Å, c = 3.7265 Å, α = 90.00°, β = 90.00° and γ = 90.00°. The distinct sites, in fractional coordinates, are Sr at (0.0000, 0.0000, 0.0000), Si at (0.5000, 0.5000, 0.5000), I at (0.0000, 0.5000, 0.5000) and O at (0.5000, 0.5000, 0.0000).

The value obtained for the formation energy from raw total energies is -916.3 meV/atom.


Compound: SrSiIO6
Source: the Alexandria database
Functional: PBE
Structure: relaxed

It has space group P312 (No. 149), with a = 5.1123 Å, b = 5.1123 Å, c = 5.4592 Å, α = 90.00°, β = 90.00° and γ = 120.00°. The distinct sites, in fractional coordinates, are Sr at (0.0000, 0.0000, 0.0000), Si at (0.6667, 0.3333, 0.5000), I at (0.3333, 0.6667, 0.5000) and O at (0.3986, 0.0298, 0.3035).

The value obtained for the formation energy from raw total energies is -1686.9 meV/atom.


Compound: TaSiIO2
Source: the Alexandria database
Functional: PBE
Structure: relaxed

It has space group P4/mmm (No. 123), with a = 3.7938 Å, b = 3.7938 Å, c = 5.5628 Å, α = 90.00°, β = 90.00° and γ = 90.00°. The distinct sites, in fractional coordinates, are Ta at (0.0000, 0.0000, 0.0000), Si at (0.5000, 0.5000, 0.5000), I at (0.5000, 0.5000, 0.0000) and O at (0.0000, 0.5000, 0.5000).

The value obtained for the formation energy from raw total energies is 208.5 meV/atom.


Compound: TaSiIO2
Source: the Alexandria database
Functional: PBE
Structure: relaxed
'''

[Written answer]
It has space group P4/mmm (No. 123), with a = 4.0694 Å, b = 4.0694 Å, c = 5.3095 Å, α = 90.00°, β = 90.00° and γ = 90.00°. The distinct sites, in fractional coordinates, are Si at (0.0000, 0.0000, 0.0000), Sn at (0.5000, 0.5000, 0.5000), I at (0.0000, 0.0000, 0.5000) and O at (0.0000, 0.5000, 0.0000).
It has space group P4/mmm (No. 123), with a = 6.0883 Å, b = 6.0883 Å, c = 4.0129 Å, α = 90.00°, β = 90.00° and γ = 90.00°. The distinct sites, in fractional coordinates, are Si at (0.0000, 0.0000, 0.0000), Sn at (0.5000, 0.5000, 0.5000), I at (0.0000, 0.5000, 0.5000) and O at (0.5000, 0.5000, 0.0000).
It has space group P4/mmm (No. 123), with a = 4.0375 Å, b = 4.0375 Å, c = 7.0517 Å, α = 90.00°, β = 90.00° and γ = 90.00°. The distinct sites, in fractional coordinates, are Si at (0.0000, 0.0000, 0.0000), Sn at (0.5000, 0.5000, 0.5000), I at (0.5000, 0.5000, 0.0000) and O at (0.0000, 0.5000, 0.5000).
It has space group P4/mmm (No. 123), with a = 5.9390 Å, b = 5.9390 Å, c = 3.5790 Å, α = 90.00°, β = 90.00° and γ = 90.00°. The distinct sites, in fractional coordinates, are Si at (0.0000, 0.0000, 0.0000), Sn at (0.5000, 0.5000, 0.5000), I at (0.0000, 0.5000, 0.0000) and O at (0.0000, 0.0000, 0.5000).
It has space group P4/mmm (No. 123), with a = 6.3645 Å, b = 6.3645 Å, c = 4.2800 Å, α = 90.00°, β = 90.00° and γ = 90.00°. The distinct sites, in fractional coordinates, are Sr at (0.0000, 0.0000, 0.0000), Si at (0.5000, 0.5000, 0.5000), I at (0.0000, 0.5000, 0.0000) and O at (0.0000, 0.0000, 0.5000).
It has space group P4/mmm (No. 123), with a = 6.0533 Å, b = 6.0533 Å, c = 3.7265 Å, α = 90.00°, β = 90.00° and γ = 90.00°. The distinct sites, in fractional coordinates, are Sr at (0.0000, 0.0000, 0.0000), Si at (0.5000, 0.5000, 0.5000), I at (0.0000, 0.5000, 0.5000) and O at (0.5000, 0.5000, 0.0000).
It has space group P312 (No. 149), with a = 5.1123 Å, b = 5.1123 Å, c = 5.4592 Å, α = 90.00°, β = 90.00° and γ = 120.00°. The distinct sites, in fractional coordinates, are Sr at (0.0000, 0.0000, 0.0000), Si at (0.6667, 0.3333, 0.5000), I at (0.3333, 0.6667, 0.5000) and O at (0.3986, 0.0298, 0.3035).
It has space group P4/mmm (No. 123), with a = 3.7938 Å, b = 3.7938 Å, c = 5.5628 Å, α = 90.00°, β = 90.00° and γ = 90.00°. The distinct sites, in fractional coordinates, are Ta at (0.0000, 0.0000, 0.0000), Si at (0.5000, 0.5000, 0.5000), I at (0.5000, 0.5000, 0.0000) and O at (0.0000, 0.5000, 0.5000).